[Given]
********
## a
# Hf3ScN2 | Alexandria via LeMat-Bulk | PBE | optimized geometry
# **ρ**: 10.7 g/cm³
data_Hf3ScN2
_space_group_name_H-M_alt 'P 1'
_space_group_IT_number 1
_cell_length_a 5.211
_cell_length_b 6.473
_cell_length_c 6.473
_cell_angle_alpha 120.00
_cell_angle_beta 90.00
_cell_angle_gamma 90.00
loop_
_space_group_symop_operation_xyz
'x,y,z'
loop_
_atom_site_label
_atom_site_type_symbol
_atom_site_fract_x
_atom_site_fract_y
_atom_site_fract_z
_atom_site_occupancy
Hf1 Hf 0.761 0.167 0.833 1
Hf2 Hf 0.761 0.665 0.833 1
Hf3 Hf 0.761 0.167 0.335 1
Hf4 Hf 0.239 0.833 0.665 1
Hf5 Hf 0.239 0.833 0.167 1
Hf6 Hf 0.239 0.335 0.167 1
Sc1 Sc 0.246 0.333 0.667 1
Sc2 Sc 0.754 0.667 0.333 1
N1 N 0.000 0.000 0.000 1
N2 N 0.000 0.500 0.000 1
N3 N 0.000 0.000 0.500 1
N4 N 0.000 0.500 0.500 1

---

## b
# Hf3ScN2 | Alexandria via LeMat-Bulk | PBE | optimized geometry
# **ρ**: 10.7 g/cm³
data_Hf3ScN2
_space_group_name_H-M_alt 'P 1'
_space_group_IT_number 1
_cell_length_a 3.223
_cell_length_b 7.198
_cell_length_c 8.487
_cell_angle_alpha 84.54
_cell_angle_beta 79.05
_cell_angle_gamma 77.06
loop_
_space_group_symop_operation_xyz
'x,y,z'
loop_
_atom_site_label
_atom_site_type_symbol
_atom_site_fract_x
_atom_site_fract_y
_atom_site_fract_z
_atom_site_occupancy
Hf1 Hf 0.061 0.070 0.808 1
Hf2 Hf 0.939 0.930 0.192 1
Hf3 Hf 0.689 0.682 0.940 1
Hf4 Hf 0.311 0.318 0.060 1
Hf5 Hf 0.809 0.824 0.559 1
Hf6 Hf 0.191 0.176 0.441 1
Sc1 Sc 0.437 0.430 0.696 1
Sc2 Sc 0.563 0.570 0.304 1
N1 N 0.873 0.376 0.877 1
N2 N 0.127 0.624 0.123 1
N3 N 0.623 0.132 0.623 1
N4 N 0.377 0.868 0.377 1

---

Referenced to the most stable arrangement, the calculated values in kJ/mol of atoms are a 0.0; b 2.4.

---

## a
# Hf2Sc2N | Alexandria via LeMat-Bulk | PBE | optimized geometry
# **ρ**: 7.7 g/cm³
data_Hf2Sc2N
_space_group_name_H-M_alt 'P 1'
_space_group_IT_number 1
_cell_length_a 6.006
_cell_length_b 6.006
_cell_length_c 5.543
_cell_angle_alpha 90.00
_cell_angle_beta 90.00
_cell_angle_gamma 90.00
loop_
_space_group_symop_operation_xyz
'x,y,z'
loop_
_atom_site_label
_atom_site_type_symbol
_atom_site_fract_x
_atom_site_fract_y
_atom_site_fract_z
_atom_site_occupancy
Sc1 Sc 0.158 0.658 0.500 1
Sc2 Sc 0.658 0.842 0.500 1
Sc3 Sc 0.842 0.342 0.500 1
Sc4 Sc 0.342 0.158 0.500 1
Hf1 Hf 0.326 0.826 0.000 1
Hf2 Hf 0.826 0.674 0.000 1
Hf3 Hf 0.674 0.174 0.000 1
Hf4 Hf 0.174 0.326 0.000 1
N1 N 0.000 0.000 0.000 1
N2 N 0.500 0.500 0.000 1

---

## b
# Hf2Sc2N | Alexandria via LeMat-Bulk | PBE | optimized geometry
# **ρ**: 8.3 g/cm³
data_Hf2Sc2N
_space_group_name_H-M_alt 'P 1'
_space_group_IT_number 1
_cell_length_a 3.324
_cell_length_b 3.324
_cell_length_c 8.694
_cell_angle_alpha 78.98
_cell_angle_beta 78.98
_cell_angle_gamma 90.00
loop_
_space_group_symop_operation_xyz
'x,y,z'
loop_
_atom_site_label
_atom_site_type_symbol
_atom_site_fract_x
_atom_site_fract_y
_atom_site_fract_z
_atom_site_occupancy
Sc1 Sc 0.750 0.250 0.500 1
Sc2 Sc 0.250 0.750 0.500 1
Hf1 Hf 0.417 0.417 0.165 1
Hf2 Hf 0.583 0.583 0.835 1
N1 N 0.000 0.000 0.000 1

---

Referenced to the most stable arrangement, the calculated values in kJ/mol of atoms are a 0.0; b 116.6.

---

## a
# HfScN | Alexandria via LeMat-Bulk | PBE | optimized geometry
# **ρ**: 8.4 g/cm³
data_HfScN
_space_group_name_H-M_alt 'P 1'
_space_group_IT_number 1
_cell_length_a 3.274
_cell_length_b 4.355
_cell_length_c 6.547
_cell_angle_alpha 90.00
_cell_angle_beta 90.00
_cell_angle_gamma 90.00
loop_
_space_group_symop_operation_xyz
'x,y,z'
loop_
_atom_site_label
_atom_site_type_symbol
_atom_site_fract_x
_atom_site_fract_y
_atom_site_fract_z
_atom_site_occupancy
Hf1 Hf 0.000 0.000 0.750 1
Hf2 Hf 0.000 0.000 0.250 1
Sc1 Sc 0.500 0.500 0.000 1
Sc2 Sc 0.500 0.500 0.500 1
N1 N 0.000 0.500 0.750 1
N2 N 0.000 0.500 0.250 1

---

## b
# HfScN | Alexandria via LeMat-Bulk | PBE | optimized geometry
# **ρ**: 8.3 g/cm³
data_HfScN
_space_group_name_H-M_alt 'P 1'
_space_group_IT_number 1
_cell_length_a 5.280
_cell_length_b 3.229
_cell_length_c 3.229
_cell_angle_alpha 120.00
********
[Assignment]
Give back the whole of the listing above without altering anything, please.
[Done]
## a
# Hf3ScN2 | Alexandria via LeMat-Bulk | PBE | optimized geometry
# **ρ**: 10.7 g/cm³
data_Hf3ScN2
_space_group_name_H-M_alt 'P 1'
_space_group_IT_number 1
_cell_length_a 5.211
_cell_length_b 6.473
_cell_length_c 6.473
_cell_angle_alpha 120.00
_cell_angle_beta 90.00
_cell_angle_gamma 90.00
loop_
_space_group_symop_operation_xyz
'x,y,z'
loop_
_atom_site_label
_atom_site_type_symbol
_atom_site_fract_x
_atom_site_fract_y
_atom_site_fract_z
_atom_site_occupancy
Hf1 Hf 0.761 0.167 0.833 1
Hf2 Hf 0.761 0.665 0.833 1
Hf3 Hf 0.761 0.167 0.335 1
Hf4 Hf 0.239 0.833 0.665 1
Hf5 Hf 0.239 0.833 0.167 1
Hf6 Hf 0.239 0.335 0.167 1
Sc1 Sc 0.246 0.333 0.667 1
Sc2 Sc 0.754 0.667 0.333 1
N1 N 0.000 0.000 0.000 1
N2 N 0.000 0.500 0.000 1
N3 N 0.000 0.000 0.500 1
N4 N 0.000 0.500 0.500 1

---

## b
# Hf3ScN2 | Alexandria via LeMat-Bulk | PBE | optimized geometry
# **ρ**: 10.7 g/cm³
data_Hf3ScN2
_space_group_name_H-M_alt 'P 1'
_space_group_IT_number 1
_cell_length_a 3.223
_cell_length_b 7.198
_cell_length_c 8.487
_cell_angle_alpha 84.54
_cell_angle_beta 79.05
_cell_angle_gamma 77.06
loop_
_space_group_symop_operation_xyz
'x,y,z'
loop_
_atom_site_label
_atom_site_type_symbol
_atom_site_fract_x
_atom_site_fract_y
_atom_site_fract_z
_atom_site_occupancy
Hf1 Hf 0.061 0.070 0.808 1
Hf2 Hf 0.939 0.930 0.192 1
Hf3 Hf 0.689 0.682 0.940 1
Hf4 Hf 0.311 0.318 0.060 1
Hf5 Hf 0.809 0.824 0.559 1
Hf6 Hf 0.191 0.176 0.441 1
Sc1 Sc 0.437 0.430 0.696 1
Sc2 Sc 0.563 0.570 0.304 1
N1 N 0.873 0.376 0.877 1
N2 N 0.127 0.624 0.123 1
N3 N 0.623 0.132 0.623 1
N4 N 0.377 0.868 0.377 1

---

Referenced to the most stable arrangement, the calculated values in kJ/mol of atoms are a 0.0; b 2.4.

---

## a
# Hf2Sc2N | Alexandria via LeMat-Bulk | PBE | optimized geometry
# **ρ**: 7.7 g/cm³
data_Hf2Sc2N
_space_group_name_H-M_alt 'P 1'
_space_group_IT_number 1
_cell_length_a 6.006
_cell_length_b 6.006
_cell_length_c 5.543
_cell_angle_alpha 90.00
_cell_angle_beta 90.00
_cell_angle_gamma 90.00
loop_
_space_group_symop_operation_xyz
'x,y,z'
loop_
_atom_site_label
_atom_site_type_symbol
_atom_site_fract_x
_atom_site_fract_y
_atom_site_fract_z
_atom_site_occupancy
Sc1 Sc 0.158 0.658 0.500 1
Sc2 Sc 0.658 0.842 0.500 1
Sc3 Sc 0.842 0.342 0.500 1
Sc4 Sc 0.342 0.158 0.500 1
Hf1 Hf 0.326 0.826 0.000 1
Hf2 Hf 0.826 0.674 0.000 1
Hf3 Hf 0.674 0.174 0.000 1
Hf4 Hf 0.174 0.326 0.000 1
N1 N 0.000 0.000 0.000 1
N2 N 0.500 0.500 0.000 1

---

## b
# Hf2Sc2N | Alexandria via LeMat-Bulk | PBE | optimized geometry
# **ρ**: 8.3 g/cm³
data_Hf2Sc2N
_space_group_name_H-M_alt 'P 1'
_space_group_IT_number 1
_cell_length_a 3.324
_cell_length_b 3.324
_cell_length_c 8.694
_cell_angle_alpha 78.98
_cell_angle_beta 78.98
_cell_angle_gamma 90.00
loop_
_space_group_symop_operation_xyz
'x,y,z'
loop_
_atom_site_label
_atom_site_type_symbol
_atom_site_fract_x
_atom_site_fract_y
_atom_site_fract_z
_atom_site_occupancy
Sc1 Sc 0.750 0.250 0.500 1
Sc2 Sc 0.250 0.750 0.500 1
Hf1 Hf 0.417 0.417 0.165 1
Hf2 Hf 0.583 0.583 0.835 1
N1 N 0.000 0.000 0.000 1

---

Referenced to the most stable arrangement, the calculated values in kJ/mol of atoms are a 0.0; b 116.6.

---

## a
# HfScN | Alexandria via LeMat-Bulk | PBE | optimized geometry
# **ρ**: 8.4 g/cm³
data_HfScN
_space_group_name_H-M_alt 'P 1'
_space_group_IT_number 1
_cell_length_a 3.274
_cell_length_b 4.355
_cell_length_c 6.547
_cell_angle_alpha 90.00
_cell_angle_beta 90.00
_cell_angle_gamma 90.00
loop_
_space_group_symop_operation_xyz
'x,y,z'
loop_
_atom_site_label
_atom_site_type_symbol
_atom_site_fract_x
_atom_site_fract_y
_atom_site_fract_z
_atom_site_occupancy
Hf1 Hf 0.000 0.000 0.750 1
Hf2 Hf 0.000 0.000 0.250 1
Sc1 Sc 0.500 0.500 0.000 1
Sc2 Sc 0.500 0.500 0.500 1
N1 N 0.000 0.500 0.750 1
N2 N 0.000 0.500 0.250 1

---

## b
# HfScN | Alexandria via LeMat-Bulk | PBE | optimized geometry
# **ρ**: 8.3 g/cm³
data_HfScN
_space_group_name_H-M_alt 'P 1'
_space_group_IT_number 1
_cell_length_a 5.280
_cell_length_b 3.229
_cell_length_c 3.229
_cell_angle_alpha 120.00